We keep riding after the failed robbery, deciding to spend the night in the next decent town. Mu Cang Chai it is. The ride up is breathtaking. So many cows drinking from streams and eating grass on the side of the peaceful highway. There’s few cars, we have the road to ourselves. My favourite part was when we climbed above the clouds. I slow down behind the pack to just take it all in.

== The page is interrupted by materials data ==
+++
Here is a geometry-optimized TmHfAlAg structure from Alexandria. Energies are from PBE.

Structure (CIF):
```
data_TmHfAlAg
_symmetry_space_group_name_H-M 'F -4 3 m'
_symmetry_Int_Tables_number 216
_symmetry_space_group_name_Hall 'F -4 2 3'
_cell_length_a 6.973
_cell_length_b 6.973
_cell_length_c 6.973
_cell_angle_alpha 90.00
_cell_angle_beta 90.00
_cell_angle_gamma 90.00
loop_
_atom_site_label
_atom_site_type_symbol
_atom_site_fract_x
_atom_site_fract_y
_atom_site_fract_z
Tm1 Tm 0.000 0.000 0.000
Hf1 Hf 0.000 0.000 0.500
Al1 Al 0.250 0.250 0.750
Ag1 Ag 0.250 0.250 0.250
```

Computed properties:
density of states at the Fermi level = 13.025 states/eV per cell
E_form = -0.161 eV/atom


# PrCO4

PrCO4 after structural relaxation (PBE, the Alexandria database).

Summary:
- M_tot: 0.167 μB per atom
- E above lowest polymorph: 73 meV/atom

Lattice parameters (Å, degrees): 7.536 5.021 8.236 90.00 90.00 90.00
Sites, in units of the cell vectors:
Pr1 0.147 0.250 0.172
Pr2 0.353 0.750 0.672
Pr3 0.647 0.250 0.328
Pr4 0.853 0.750 0.828
C1 0.192 0.250 0.813
C2 0.308 0.750 0.313
C3 0.692 0.250 0.687
C4 0.808 0.750 0.187
O1 0.040 0.750 0.592
O2 0.144 0.026 0.879
O3 0.144 0.474 0.879
O4 0.205 0.750 0.189
O5 0.295 0.250 0.689
O6 0.356 0.526 0.379
O7 0.356 0.974 0.379
O8 0.460 0.250 0.092
O9 0.540 0.750 0.908
O10 0.644 0.026 0.621
O11 0.644 0.474 0.621
O12 0.705 0.750 0.311
O13 0.795 0.250 0.811
O14 0.856 0.526 0.121
O15 0.856 0.974 0.121
O16 0.960 0.250 0.408

# PrC2O6

PrC2O6 after structural relaxation (PBE, the Alexandria database).

Summary:
- M_tot: 0.113 μB per atom

Lattice parameters (Å, degrees): 6.515 6.515 6.963 118.51 118.51 72.53
Sites, in units of the cell vectors:
Pr1 0.188 0.812 0.750
Pr2 0.812 0.188 0.250
C1 0.219 0.330 0.863
C2 0.330 0.219 0.363
C3 0.670 0.781 0.637
C4 0.781 0.670 0.137
O1 0.053 0.205 0.679
O2 0.205 0.053 0.179
O3 0.208 0.549 0.927
O4 0.220 0.393 0.483
O5 0.393 0.220 0.983
O6 0.451 0.792 0.573
O7 0.549 0.208 0.427
O8 0.607 0.780 0.017
O9 0.780 0.607 0.517
O10 0.792 0.451 0.073
O11 0.795 0.947 0.821
O12 0.947 0.795 0.321

# Pr3CO

Pr3CO after structural relaxation (PBE, the Alexandria database).

Summary:
- M_tot: 0.000 μB per atom

Lattice parameters (Å, degrees): 6.678 6.678 6.775 99.97 99.97 122.43
Sites, in units of the cell vectors:
Pr1 0.076 0.415 0.726
Pr2 0.237 0.237 0.254
Pr3 0.415 0.076 0.726
Pr4 0.585 0.924 0.274
Pr5 0.763 0.763 0.746
Pr6 0.924 0.585 0.274
C1 0.339 0.661 0.500
C2 0.661 0.339 0.500
O1 0.178 0.178 0.890
O2 0.822 0.822 0.110

# Pr2C2O

Pr2C2O after structural relaxation (PBE, the Alexandria database).

Summary:
- M_tot: 0.000 μB per atom

Lattice parameters (Å, degrees): 7.129 7.129 6.695 108.72 108.72 35.41
Sites, in units of the cell vectors:
Pr1 0.032 0.707 0.910
Pr2 0.293 0.968 0.590
Pr3 0.707 0.032 0.410
Pr4 0.968 0.293 0.090
C1 0.146 0.403 0.479
C2 0.403 0.146 0.979
C3 0.597 0.854 0.021
C4 0.854 0.597 0.521
O1 0.015 0.985 0.250
O2 0.985 0.015 0.750

# Pr3CO2
+++
The hot weather from months past vanishes, and we’re more in the trees than before. It felt like I was riding in Northern California. Kevin and I stop to take a look at the landscape, pulling to the side of the road while the others keep on riding. Mountains, trees, and terraces on terraces. These little girls slowly approach us with their hands cupped. One kept saying something to me in Vietnamese, bashfully approaching us while Kevin and I shared the beautiful view. I think she wanted money. We shrug, hopping on the bikes and setting off.
We roll into Mu Cang Chai around 17.00 and find a hotel on the main street. We pay 100,000 ($5) each for a huge room with 5 beds in it. Kevin and David push 3 beds together to make ‘mega-bed’, while Andreas and I have beds to ourselves.

I’m in front of the hotel, straddling my bike and impatiently fidgeting with all the levers. I’m waiting for David and Kevin to come out–we’re going to catch the quickly approaching sunset. Another Honda Win pulls up in front of the hotel, pulling into the free space beside me to park. It’s a young Asian man, but he’s dressed Western and riding a Honda Win. “Sup.” I say to him with the obligatory head nod. He responds with a neutral North American accent.
We get to chatting–both seated on our bikes. He’s from Toronto–Wayne. I tell him our plan to ride through the north, and he says “I don’t know if my bike could make it”. Whoah buddy, pump the brakes–we haven’t known each other long enough for a cup of Vietnamese drip coffee to brew, let alone invite you to join the crew! My finely tuned skeevedar was going off now for the second time today.
When Andreas dropped his bike in the mud, a bottle of cheap vodka exploded in his bag, soaking all of his clothing. He was outside now, cleaning his clothing in a bucket of water like a local Vietnamese person. Kevin, David, and I said goodbye to Andreas, and left him with the Torontonian.
We ride down to a bridge to watch the sun set behind the mountains–it was beautiful. As we stand on the bridge, we debate if the Vietnam flag shirts were a good idea this far north in Hmong territory. These kids were refusing to take our picture for us, and we weren’t really feeling the love as much from the locals. Right then this old Hmong lady hobbles by us and looks at our shirts, and then shoots us a dirty look and keeps on hobbling across the bridge. Debate settled.

We return to the hotel, and see Wayne and Andreas chatting in the lobby. He’s bragging to whoever’s listening that his room has a balcony. Out of politeness, I drop him an invite to join us for dinner, and we resolve to shower and meet back up here in 45 minutes. Wayne follows us to our room to see where we’re at–fair enough. “Huh, there’s five beds here, I could save some money if I move down here” slips out of his mouth. We all look at each other, and then Kevin yells “Mega-bed!!!” and jumps on mega-bed. Mega-bed wasn’t going to be dismantled for this asshole. I take a shower, but Wayne just lingers in the room while we’re trying to relax and get ready. After 30 minutes he finally gets the hint and leaves us alone.
He’s waiting for us in the lobby. We saddle up and set off on the motorcycles. We ride a few minutes, deciding on this local place with a big PHO BO in the sign. As we’re walking up, we see two white girls walking behind us wearing elephant pants–backpackers. They tell us the Pho Bo is great here, and that the coffee shop next door has the best coffee–right on. We haven’t met backpackers for days.
We’re standing four abreast, telling our robbery story to these girls. Wayne lingers awkwardly behind us, interrupting our story at the climax to ask us what we want to eat. We brush him off and then he goes in the restaurant ahead of us while we finish the story.
The stories over, and hunger pangs. We part ways with the girls and walk in the restaurant to have Wayne intercept us at the door. “Okay, so I ordered a bunch of food for all of us.” he tells us. We all look at each other befuddled–what? We all tell him we’ll order for ourselves–thanks. I wanted that Pho Bo the girls were talking about. Our fast friend walks out of earshot. “No cunt orders my food” says David.
We wait around for the food and take shots of moonshine with some local Vietnamese man who was dining alone. It was happy water, that’s for sure. The girls were right, the Pho Bo was surprisingly good. Still a seven out of ten on my scale however. At some point the girls come into the restaurant and tell us that they were drinking with some locals at the coffee shop.
After dinner everyone goes back to the hotel, but Kevin and I hang back and drink a beer with a group of local Vietnamese men who didn’t speak English. They’re posted up like a mailbox in front of that coffee shop. They keep taking pictures with me and my beard. I let this one guy pose with my blue boating hat for awhile. Wayne walks up to us after 5 minutes. He was waiting that whole time by the motorcycles to ride back with us and then came to find us.
They love us, but the novelty wears off quickly and we head back to the hotel. It’s hard to hang out with people who can’t speak a word of English. Kevin and I say goodbye to the Torontonian and then watch Top Gun with the rest of the boys. We breathe a sigh of relief that we’ve rid ourselves of that asshole from Toronto and then pass out.
We have to wake up early to head to Sa Pa.